Tuesday, January 24, 2012

Easter Egg Chic?

Yet again, I've taken on a project that may be over my paygrade in terms of execution, but also yet again my stubborness prevailed and the final result is (almost) exactly what I had hoped for.

It all started with this rug,see here:

You can also see it here:

Isn't is the cutest thing ever? Yeah, I thought so too. So I have this rug and I love it, not because I have a current obsession with gray and a slightly bigger obsession with chevron stripe. Nope it's because it's light but still comfy and casual and it's the perfect size. Okay, okay, the gray and chevron stripe DO have something to do with it too. All that to say, the rug started this WHOLE thing. Because you see, I also have this lamp, see here:

He's the little egg on the left. He's kinda a tan colored ceramic egg. Don't let him fool you, that tall brass guy on the left is sorta dwarfing him. Speaking of that brass lamp, he's now a pretty shade of sage with a cute linen shade and Edison bulb.

Here he is again. Sorry about the terrible lighting in this shot.

I've had it for awhile, it was a thrift store find for $7.00. I love so much that it looks like an egg, but I hate that color with all my heart. Well obviously not that dramatic a hate but I was trying to add some emphasis. I've had many ideas for this guy, I didn't really want to paint him a solid color because I knew that utilizing the shape could make more incredible than just "better than it was before".  I had this idea of maybe doing something like this, but I was a little nervous how to achieve this but more chic:

So after multiple months of owning these two items, and other projects in between, the light bulb finally went off! White and grey chevron striped lamp! I immediately was in love with the yet to be refinished lamp and I knew that the stripes would look great on that curved shape. My love for this idea was so strong, it overshawdowed some very important things, namely drawing the straight level lines on a compound curve. Oh, and without chipping off the undercoat or making it messy. Yeah, it was a strong love.

Oh, yeah I also forgot to say that I'm having a current obsession with sparkly and metallic things too and I've been dying to try some silver leaf. I ended up using this one from Hobby Lobby:

You can find it here.

Sorry about my rambling on all my current design obsessions but I really do have a point. Basically it's that I chose to combine all those things I just rambled off into one clean, sparkly, chevron stipe lamp that matches my rug to sit on my new nightstand:

I blogged about his transormation here.

I had to start by getting a little rust off of the top of the lamp.

All I did was try to buff it out with a brillo pad and that seemed to do the trick.

Now, getting down to business. I wasn't quite sure how to achieve the look I wanted but I knew that I did want a white base, so I went ahead and sprayed it with a white lacquer spray paint.

From Home Depot. Now that I see pictures, I used the Krylon brand, but I'm sure they are very similar.

Before the first coat. I taped the top and the wiring with paper towels and electrical tape. I also used a little painter's grease on the parts that couldn't get taped just to keep the paint off. Hint: you can also use Vasoline to achieve the same thing.
The change already helped in his apperance!

First Coat
Second Coat

Soooo it was Thanksgiving weekend when I did this. So at this point I got pretty distracted by this:

So the lamp was white. Whoo hoo? It was a least an improvement over the dingy tan. Cue moment of panic. I had a realization as a was ready to start the next phase of the project that I still had no idea how to accomplish those oh so trendy stripes that I had been yearning for. **This part of the story is long so bear with me** I started with this pattern I found online:

I may have gotten distracted by something else at this point:
She loves to snuggle-especially if you still smell like turkey.

I was thinking that I could just trace the pattern on the lamp and just make sure that it was straight and that the rows were even. WRONG. Because the lamp is more or less an oval shape (it gets wider in the middle) that just didn't work. So after lots of trial and error, I had to basically trace one zig (for lack of a better word) and then mark off the whole lamp to get the stripes that I was wanting. Pictures speak louder than words for this part.

The making of an Easter egg


Whew! Once that was over I erased all the extra marks I was ready to start the silver leaf but I didn't want to tape off all the stripes, because really it would take forever to get all those angles right so I tried this mastic. It's a product that artists use to keep paint off of certain spaces without using tape.

 I just painted the masking fluid on the stripes I didn't want the silver leaf to get on as practice but it didn't work out so well.

It comes off really cleanly normally. My experience was ok with this stuff but I think the nature of this project wasn't so good for this because it took the spray paint off.

So basically at this point I was just desperate to try the silver leaf and get this guy done so I just started the leafing process without anything protecting the white stripes (I would later find that this was a mistake).
The whole silver leaf process was fairly easy. You just paint the adheisive on the parts you want the silver leaf to go on to, let it dry, and then stick on the silver leaf. After that all you have to do is add a sealer and your done! I make it sound a tad easier than it actually was. It was really thin and hard to keep off your fingers, and it did unfortunately stick to some of the white stripes.

So this part got done and I was happy but I still needed to fix the stripes and the bumps and nicks and silver flecks that the white stripes had gotten along the way.
Annnnd then Christmas happened...

And the Alamo Bowl...

Then finally I had a break down (well not really but I was reluctant to do this) and taped the silver leaf with painter's tape (knowing full well I would have to do touch up silver leafing later), and re sprayed the white stripes. I sprayed it so that all the color would be even and there were no paint brush strokes showing. I know what it looks like from the picture... (hint: Easter is still months away but yet there's an egg looking lamp in this picture)

It did take me hours to tape this guy (literally hours). Impressed??? You shouldn't be I should have taped before hand so that this didn't have to happen. I learned my lesson, but let's face it I will always be too eager to start something to make sure everything is in place first again, and inevitably something like this will happena gain..oh well.
I had to reverse the tape so that I could touch up the silver leaf now, and again it took me hours.

I added the silver leaf sealer at this point too.
Finally just a few touch ups with the white and it was finally done. I feel like J.R.R. Tolkien and that I could have written three books about the shiny spherical object and my quest to get it.  (except I'm not a hobbit nor trying to save a mythical shire with the help of ridicoulsy good looking elves like Orlando Bloom).
So finally here ya go, finished lamp!!!
Sorry for the lack of good photos.

I do want to get a new shade but other than that I'm pretty happy with this guy!

Monday, January 16, 2012

Art Smart

See look, I'm already blogging again!

Art has been on my mind lately. I read lots of design blogs and magazines and look at so many wonderful pictures of  spaces that are so wonderfully designed. The more I stare at these images, the more I realize that art is most of the time what makes or breaks a room. It can add that extra sparkle that turns an ordinary room. It seems to pull all of the things together, and suddenly the space is magazine worthy. I've even seen others use art that seemingly doesn't fit, or is a completely different style than the rest of the room but, BAM, it works!
From framed art to paintings simply on canvas, photos, typography, or something completely random on the wall, I've come to the realization that it makes all the difference. In the past I've pretty much decorated with mostly pictures, in frames. How boring right? Well not really, I will always love framed photos and the memories that come with them and I think they should be framed for everyone to see who is important to you. All of that said, framed photo's does not a quality designed room make. They most definitely add some spice and much needed personalization but there should be something else that can add something great as well.

I know that art is subjective but here are some new favs that I have recently as well as some rooms that I think really utilize art in a great way.

Love me a gallery wall. (via Pinterest)

 Whoa, art is the wall and the wall is art...via Pinterest

I'm obsessed with the large painting at the end that frames out the whole space in this shot. (via Freshome)

(Quantum chemistry results, as found in the file)
~~~
34
Properties=species:S:1:pos:R:3:nbo_charge:R:1 method="wB97M-V/def2-TZVPD" total_charge=+1 spin_multiplicity=3 homo_lumo_gap_ev="5.3 / 6.8" lumo_energy_ev="-2.7 / -5.0" max_force_ev_per_a=7.4 s2=2.01
C -0.0357 -1.7054 2.1858 0.47
C 0.5195 -2.3267 3.2305 -0.27
C -1.2354 -0.4199 0.6767 -0.06
C 0.2379 -0.0756 0.2269 -0.01
C -0.2305 -2.6520 4.4964 -0.64
C 0.6984 1.1172 1.0007 -0.63
C 0.7352 2.2392 -2.3167 -0.43
C -0.3772 0.4953 -3.4391 -0.47
C -1.3901 1.4524 -1.5681 -0.43
C 0.5761 -0.0666 -1.2257 -0.19
N 0.8986 -1.3487 0.7086 -0.35
N -0.1477 1.0688 -2.0951 -0.25
O -1.1377 -1.0563 1.9003 -0.49
Cl 2.6105 -1.4361 0.8439 0.00
H 1.4245 -2.7856 3.0965 0.24
H -1.7968 0.4603 0.8350 0.20
H -1.6746 -1.1441 -0.0816 0.19
H 0.6542 -2.7470 5.2149 0.23
H -0.6839 -3.6261 4.2852 0.25
H -0.7856 -1.7299 4.8027 0.24
H 1.7368 1.4139 0.6563 0.24
H 0.6869 0.7539 2.0216 0.26
H -0.0136 1.9027 0.6724 0.20
H 1.2820 2.4430 -1.3706 0.24
H 1.5953 1.8263 -3.0366 0.25
H 0.2781 3.1920 -2.5968 0.26
H -1.1871 -0.2094 -3.6192 0.25
H -0.6655 1.1909 -4.3229 0.26
H 0.5446 -0.1597 -3.7519 0.24
H -1.1840 1.8457 -0.5165 0.23
H -1.7740 2.3216 -2.1264 0.24
H -2.1825 0.5727 -1.5771 0.25
H 0.4670 -0.9780 -1.7831 0.25
H 1.5561 0.1712 -1.4269 0.23


37
Properties=species:S:1:pos:R:3:nbo_charge:R:1 method="wB97M-V/def2-TZVPD" homo_lumo_gap_ev=10.8 smiles="N#C[C@@H](F)[C@@H](C#N)[PH2]=O.CC(C)O.CC(C)O" lumo_energy_ev=0.3 max_force_ev_per_a=7.1
N 4.6944 -2.7276 3.2526 -0.28
C 3.8565 -1.8555 3.2129 0.21
C 2.6858 -0.7596 2.9450 0.13
F 1.6746 -1.0495 3.9649 -0.35
C 3.1850 0.7564 3.1125 -0.64
C 3.5373 1.1296 4.6502 0.25
N 3.7163 1.5324 5.7844 -0.27
P 4.6447 1.2314 1.9980 1.42
O 4.2893 1.1991 0.4724 -1.06
H 2.1891 -0.9561 1.9125 0.31
H 2.3064 1.4358 2.8158 0.31
H 4.9551 2.6171 2.3085 -0.03
H 5.8279 0.4430 2.2165 -0.01
C 1.2961 -1.9577 -1.9414 -0.63
C 0.5054 -1.8411 -0.6481 0.10
C -0.9363 -1.4391 -0.9143 -0.63
O 1.1203 -0.8686 0.1972 -0.74
H 1.3251 -0.9989 -2.4694 0.20
H 2.3333 -2.2356 -1.7338 0.22
H 0.8587 -2.7084 -2.6048 0.21
H 0.5282 -2.7965 -0.1159 0.18
H -0.9853 -0.4623 -1.4064 0.20
H -1.4895 -1.3474 0.0247 0.23
H -1.4406 -2.1742 -1.5469 0.21
H 1.1054 -0.0184 -0.2651 0.48
C -4.1171 2.6081 -2.2532 -0.63
C -3.8177 1.1627 -1.8880 0.09
C -4.7097 0.2006 -2.6566 -0.63
O -4.0164 0.9768 -0.4883 -0.72
H -5.1520 2.8671 -2.0064 0.20
H -3.4768 3.2884 -1.6847 0.22
H -3.9576 2.7871 -3.3200 0.21
H -2.7681 0.9399 -2.1004 0.17
H -5.7652 0.3757 -2.4237 0.20
H -4.4914 -0.8335 -2.3752 0.22
H -4.5682 0.3069 -3.7354 0.21
H -4.9429 1.1717 -0.2902 0.46


40
Properties=species:S:1:pos:R:3:nbo_charge:R:1 method="wB97M-V/def2-TZVPD" total_charge=+2 homo_lumo_gap_ev=7.4 lumo_energy_ev=-7.3 max_force_ev_per_a=0.8
Hf -0.1509 0.0915 -0.3096 2.20
N -1.9110 1.3862 0.4381 -0.93
C -1.6941 1.9502 1.8140 -0.24
C -0.2145 2.1135 2.1303 -0.25
N 0.5941 0.8828 1.8418 -0.73
C 0.5677 -0.1517 2.9127 -0.24
C -0.6398 -1.0628 2.7943 -0.24
N -0.7834 -1.5357 1.3853 -0.91
H -2.8426 0.9742 0.3943 0.43
H -1.9383 2.1551 -0.2375 0.44
~~~

How can you not love these re-made movie posters via Eric Tan?

I posted about COZA MIA in my last post but I still love them all!

Iconic Architecture makes some of the best art to me. (via Imagekind )

I have a weakness for nature shots too. There is nothing more captivating than capturing the raw beauty of the world we live in. (Didn't know I could be deep did ya? )

Aren't they just so inspiring? To see both the art themselves or in a space seem to add that magic sparkle that we need. They can provoke thought, happiness, joy, sorrow, all in one moment. Crazy huh? I know I know I'm getting deep again but the more I look for art that I like the more I decide that I can be very picky about what I dislike and what I'm passionate about. I want every piece of art that I have to be something that I love, not just something to put on the wall. My newly formed philosophy, which I've stolen from various famous designers, is that something in every room should mean something to you, and something should have some color, and maybe even both!

I'll leave with something more upbeat...

In theaters, in 3D. Ariel comes in a close second, but Belle is my favorite Disney princess and always will be. She wears cute blue dresses and ribbons. She reads. She gets to dance in the most beautiful ballroom in all of France. My love of Disney strikes again!

Thursday, January 12, 2012


Here we are again, the new year has arrived and I vow to blog more and swear this time I will. Along with my now frequent blogging the new year I will be sketching more, cook, be better at change, and trying to make everyday an ordinary adventure ( don't judge, everyone needs their granola, sunny, and whimsical outlook on life- well for January at least). I am working on multiple projects right now but my procrastination gene has a way of sneaking back into my mind and making me forget about said projects. I'm working on sending that little gene packing and getting my stuff done in a more timely manner, because the list of things I want to do and try keeps getting longer! That list is getting longer by the second thanks to the awesome design blogs that I've been finding, here's a list of some that everyone should be reading!

- http://www.designsponge.com/
- http://www.freshome.com/
- http://www.apartmenttherapy.com/
- http://www.decorology.blogspot.com/
- http://www.materialgirlsblog.com/

I know that I said I would work on the whole procrastination thing but I don't always have projects finished in a timely manner, therefore nothing to blog about. (muah muah) So I'm going to start posting some of my favorite designs, items, pinterest favs, etc. periodically. Hope you enjoy!

I seriously love this art.The color and pattern combine symmetry and bright colors that is just perfect.

Here's another one:

They're from Cozamia and they come in all different sizes and you can choose what kind of paper/canvas you want it on, what could be better?

I'm not sure how they do this but these floors are amazing and beautiful! They're call Marbelous Floors... now who doesn't love a good pun?

Wood Marbled Floors via Apartment Therapy

 "The process begins with locally-sourced Scandinavian pine, which Hansen marbles in bright colors to accentuate the unique structure of the wood, as though each plank of wood is being viewed under a microscope. The colored marbling works to highlight the nuanced patterns and shapes, turning a basic piece of blond wood into rivers and clouds of color and texture."  

I feel like I'm just repeating the same phrases again and again but these are also amazing. I may try to imitate this technique and see what happens.

How cool, right? They're old vinyl records that Patrick Laurent from Quiet Boy Studio creates for his Etsy site. Speaking of records, my mom and I just recently found some great vintage records at a thrift store that are getting framed (pictures to come)!

Who doesn't love all things British?

Speaking of British, my new favorite show is Downton Abbey. The sets, costumes, accents...aaah, so British, so beautiful.

Set right before and at the onset of World War I, I'm completely entranced with this show. I know that I'm a self admitted history nerd but I couldn't walked away from the TV when I stumbled upon this show. It airs on Sunday nights on PBS and you can watch multiple episodes online for free!

Check out this post on Design Sponge about Downton Abbey.
Fantastic Condo in Connecticut:

Just to be quirky here's a retrospect on the fork, that's right I said fork:

OOOK and I have to...

Since I set foot on the Baylor campus I have been a Bears fan, no matter the outcome. But now is the time that Baylor nation gets to rise up and show the nation what Baylor means to us, thanks to the work of these three, the teams that has risen around them and their dedicated and brilliant coaches. Ok enough of the sap but I couldn't be more proud to be an alumni (I might share this fact a little too much ;) of my university and their athletic achievements this year! 38-0 in football, mens and women's basketball since Nov. 1st. Oh that, and a Heisman trohpy! Sic em'!!  (we love ya and good luck in the NFL RGIII!!!)

I will not procrastinate. I will blog again soon. I will stop bragging so much about Baylor (not going to happen)

Maybe if I write them down then I will achieve them!

Happy Thursday!